Most people are aware of the world-wide issues with widespread hunger. I previously posted about Future Fortified and how they help to bring people overseas nutrition packets to sprinkle on their food. Well, there are also problems with hunger in our country as well, especially with the poor economy and rising rates of unemployment. Walmart recognized this problem and has created an initiative to combat it.
Walmart is working with Feeding America and four of the most recognizable food brands in America- ConAgra, General Mills, Kraft and Kellogg’s – in a nationwide Fighting Hunger Together initiative from Monday, April 9th through April 30th. Consumers can join the fight against hunger in-store or through Facebook.
Between April 9th and April 30th Walmart will be hosting a Facebook campaign where fans can rally support for communities in need of hunger relief. Vote to fight spring hunger with Walmart among 200 communities with the highest unemployment rate as determined by a Department of Labor Report. Click HERE to view your options. I will personally be voting for Yuba City, CA. We lived close to there for about three years and I want to support a community I am close to in a personal way.
Walmart will donate a total of $2 million to the 21 communities receiving the most support: $1 million to the winner and $50,000 each to the 20 runners-up. Winning communities will be announced May 1st. The Fighting Hunger Together initiative is expected to generate 43 million meals for families in need.
Let’s all vote on Facebook between April 9th-30th and SPREAD THE WORD TO VOTE!!! Make sure to click on the Fighting Hunger Together Icon to get to the voting area. Then you just choose a place to vote!
You can also help by shopping in-store and purchasing select products from ConAgra, General Mills, Kraft and Kellogg’s. Check the in-store signage for details for this April 9th-30th initiative! Let’s do all we can to help fight hunger! We can make a difference together!
Funny- I just saw this at Walmart. ANything to help hunger is a huge plus in my book! I voted:)
Voted. I’m glad to see Walmart is finally doing something!! Hunger in this country is at an all time high!!
I live in Canada so I couldn’t vote for my community but I did vote for a US community.
Such a great cause. Voted
I am glad to see Walmart behind this cause! Thanks for sharing!
I voted!
Great cause. I’m actually working with ConAgra to fight hunger myself. Just visited Walmart and purchased a bunch of these products too.
Quantum chemistry results from another source follow:
'''
Record 1
{
  "formula": "C17H32N3O9P",
  "method": "ωB97M-V with the def2-TZVPD basis set",
  "multiplicity": 1,
  "smiles": "N=[PH2][C@]1(CCCCCN)OC(=O)O[C@H]1CN.C[C@@H]1COC(=O)O1.C[C@@H]1COC(=O)O1",
  "elements": ["N", "P", "C", "C", "C", "C", "C", "C", "N", "O", "C", "O", "O", "C", "C", "N", "H", "H", "H", "H", "H", "H", "H", "H", "H", "H", "H", "H", "H", "H", "H", "H", "H", "H", "H", "H", "C", "C", "C", "O", "C", "O", "O", "H", "H", "H", "H", "H", "H", "C", "C", "C", "O", "C", "O", "O", "H", "H", "H", "H", "H", "H"],
  "xyz": [[-0.55068, 1.02641, 3.84722], [0.33156, 1.81297, 2.82336], [-0.29201, 2.12174, 1.06264], [0.43883, 3.40157, 0.60475], [1.18382, 3.41536, -0.72423], [1.66437, 4.83772, -1.05629], [0.48744, 5.76391, -1.43036], [0.81633, 6.76296, -2.53128], [-0.37406, 7.51424, -2.99051], [-1.70792, 2.24125, 1.02560], [-2.23374, 0.99871, 0.82340], [-3.38430, 0.78606, 0.58437], [-1.24304, 0.08989, 0.91828], [-0.06784, 0.77772, 0.32440], [-0.29468, 0.68913, -1.19099], [0.95079, 0.40080, -1.94493], [-1.45686, 0.76677, 3.48007], [0.66824, 3.08111, 3.34075], [1.56940, 1.19445, 2.54674], [-0.29557, 4.21058, 0.63309], [1.18004, 3.66693, 1.36592], [2.03043, 2.72658, -0.71646], [0.53080, 3.12816, -1.55010], [2.19045, 5.25975, -0.19911], [2.32177, 4.77582, -1.92628], [-0.38990, 5.18732, -1.73821], [0.19812, 6.33548, -0.54329], [1.52584, 7.51167, -2.17232], [1.22630, 6.25539, -3.40535], [-1.10549, 7.49069, -2.29119], [-0.76078, 7.09502, -3.82494], [0.78432, 0.17990, 0.64697], [-0.96575, -0.15054, -1.35761], [-0.72584, 1.62180, -1.55009], [1.17414, 1.17184, -2.56151], [1.74267, 0.34742, -1.31300], [1.86814, -3.52552, -1.09334], [2.62538, -3.35768, 0.19809], [1.94238, -3.88115, 1.44815], [2.46609, -2.99446, 2.46227], [2.79181, -1.83585, 1.87258], [3.03935, -0.81792, 2.44034], [2.76515, -1.95767, 0.52478], [2.45143, -3.14239, -1.93073], [1.65041, -4.57681, -1.26837], [0.93280, -2.96389, -1.06177], [3.63052, -3.77765, 0.10492], [2.19070, -4.90736, 1.68526], [0.86119, -3.76691, 1.42133], [-4.02647, -4.85878, 1.35712], [-2.95755, -5.13453, 0.33212], [-2.96175, -6.53239, -0.25231], [-1.57404, -6.74064, -0.56006], [-0.84934, -5.96108, 0.26737], [0.33256, -6.01769, 0.40043], [-1.64323, -5.09201, 0.92601], [-3.97218, -3.82697, 1.70120], [-5.01430, -5.02951, 0.92942], [-3.89626, -5.50352, 2.22674], [-2.98454, -4.38334, -0.46144], [-3.56179, -6.62454, -1.15332], [-3.27364, -7.28632, 0.47369]],
'''
The entry goes on:
It’s wonderful when the “big guys” get behind such a great cause!
Life with our Family
glad to see this. Thanks for the share and voted!
It’s good to see Walmart behind such a good cause. I’m off to vote.
It’s nice that a huge corporation is participating in such a worthy cause.
What comes next are quantum chemistry results, not part of the entry =
____________
1.
This record from the Open Molecules 2025 dataset describes C2H6N2OS as an isolated structure in a non-equilibrium geometry. The level of theory is ωB97M-V with the def2-TZVPD basis set.

XYZ file:
```
12
Properties=species:S:1:pos:R:3:mulliken_charge:R:1
C -0.73835 1.29131 0.74334 -0.9192
C -0.03435 0.12885 0.09089 0.5038
H -1.10555 2.03797 -0.38888 0.1942
H -1.69122 0.99363 1.11500 0.2620
H -0.21692 1.73409 1.49527 0.3355
H -1.19680 0.61937 -1.32551 0.2658
H -0.41626 -2.15194 -1.66577 0.3691
H 3.17541 -1.08451 1.25311 0.1509
N -0.74720 -0.39614 -0.98266 -0.1494
N 0.95159 -0.29162 0.89709 -0.4032
O 0.07622 -1.21827 -1.69209 -0.4031
S 1.94345 -1.66274 0.46022 -0.2064
```

Output
Multiplicity ... 1
HOMO energy ... -8.111 eV
E_LUMO ... 0.58 eV
Energy relative to the best compared isomer or geometry (same formula, charge and spin) ... 5.818 eV
F_max ... 6.7 eV/A
Orbital gap ... 8.69 eV

---

2.
This record from the Open Molecules 2025 dataset describes one molecule with the formula C12H16P2 in a non-equilibrium geometry. The level of theory is ωB97M-V with the def2-TZVPD basis set.

XYZ file:
```
30
Properties=species:S:1:pos:R:3:mulliken_charge:R:1
C 5.10438 0.03406 1.15979 0.4140
C -0.26342 2.71104 -2.51424 0.3040
C 4.25067 -0.01814 0.33114 -0.7369
C 0.13362 2.43442 -1.37961 -0.7803
C -2.29371 -0.78561 -0.07975 -0.6799
C -1.34516 -0.99538 -1.26471 -1.2072
C -1.73134 0.51425 0.49945 -0.6284
C 0.73948 -1.92883 -0.32632 -1.7281
C 2.16008 -1.74723 0.14759 -0.7164
C 0.31174 3.23581 1.25925 -0.9723
C 0.06195 -0.63173 -0.74301 0.1975
C -0.19212 0.38018 0.43193 -0.4977
P 3.10233 -0.53203 -0.87805 -0.1453
P 0.78812 1.97692 0.20506 0.3474
H 5.85690 0.41278 1.83913 0.4111
H -0.79568 2.78052 -3.42906 0.4066
H -3.39704 -0.52617 -0.27443 0.3316
H -2.27301 -1.74837 0.51757 0.2774
H -1.43327 -1.95189 -1.59035 0.5999
H -1.63538 -0.28291 -2.12305 0.2540
H -1.89092 1.24598 -0.28578 0.3192
H -2.11478 0.81682 1.50487 0.3560
H 0.77536 -2.49477 -1.15641 0.5612
H 0.13643 -2.26672 0.40825 0.5531
H 2.23515 -1.42439 1.19264 0.4069
H 2.76778 -2.73989 0.15322 0.4648
H 0.68859 4.18494 1.13568 0.3298
H -0.06670 2.98706 2.27581 0.2777
H 0.69745 -0.29096 -1.58836 0.7519
H 0.27453 0.02026 1.34479 0.5282
```

Output
Multiplicity ... 1
HOMO energy (spin up / spin down) ... -7.562 / -7.466 eV
E_LUMO (spin up / spin down) ... -0.25 / -0.81 eV
Energy relative to the best compared isomer or geometry (same formula, charge and spin) ... 4.347 eV
F_max ... 4.2 eV/A
Orbital gap (spin up / spin down) ... 7.32 / 6.65 eV

---

3.
This record from the Open Molecules 2025 dataset describes C20H44ClCoF5P2 as an isolated structure in a non-equilibrium geometry. The level of theory is ωB97M-V with the def2-TZVPD basis set.

XYZ file:
```
73
Properties=species:S:1:pos:R:3:lowdin_spin:R:1
Co -0.05652 -0.47998 -0.96544 1.6770
Cl -0.21662 0.11180 -3.04974 0.0499
P -0.32312 -2.56002 -0.60272 0.0508
C 0.75305 -3.20973 -1.96302 0.0073
C -0.09685 -3.58000 0.91194 0.0108
____________
Awesome! Voting now 🙂
I just voted!
These records of molecules were left in the article by mistake >
'''
{"formula": "C3H4OSi", "method": "ωB97M-V with the def2-TZVPD basis set", "homo_lumo_gap_ev": 11.089, "largest_force_ev_per_a": 2.7, "e_above_lowest_kcal_mol": 26.6, "symbols": ["C", "C", "C", "O", "Si", "H", "H", "H", "H"], "xyz": [[-1.33629, -1.24661, -0.14849], [-0.66529, -0.25894, 0.00464], [-4.17195, -1.38880, 0.47828], [-4.99489, -0.98627, -0.21261], [0.81246, 0.80283, -0.01208], [-1.79378, -2.10593, -0.59360], [1.48664, 0.10172, 1.13419], [1.35614, 0.52092, -1.35485], [0.19497, 2.13034, 0.12679]]}
'''
Awesome! Voting now!
I’m not a Wal-mart fan BUT any good deed doesn’t go unnoticed. Glad for this movement!
I don’t really like Walmart much either, but I have to admit I still shop there! This is good to see Walmart involved in this.
Voted thank you!!!